"Yes, sir," I answer, having learned that respect goes a long way with these people.
"What's your name?"
"Adrian Barnett, sir." He squints his eyes at me and purses his lips.
"And when's your next fight?"
"Tomorrow night."
"Good, good. We have a new recruit. Andrew wants you to train him, show him the ropes."
"A new recruit?" I ask. Weird. Fighters aren't usually supposed to train new recruits.
"Yeah, well… he'll have more chances if you help him. He's a bit gaunt if you ask me. Don't know what he's doing in a place like this. But hey, boss says to do it, we do it." I nod slowly in understanding.
"Come now, let me show you to the lad." He heads to the back of the gym, where the weights are, and he points at a kid struggling with a pair of dumbbells that can't be over twenty-five pounds each.
When he sees us approach, he stops and wipes the sweat from his brow. He looks… healthy, unblemished. Not a usual condition when you're out of the Basilica, especially to advance to this level. This immediately tells me he didn't come in the regular route.
"Oh, hey there." He gives a hesitant smile that neither me nor the old man return.
I take a second to study the boy. He's got shaggy long hair, a couple of piercings in his ears, and some random tattoos on his skinny arms.
"This here is Barnett. He's gonna show you the ropes." The man looks between the two of us and shakes his head. "Don't get yourself killed, kid." He turns and leaves me with him.
"I'm Adrian Barnett," I say and put my hand out to him. I know people in this place get off on intimidation, but I can't help but feel for the kid when his slender frame is so obvious in the gym.
-- Between two parts of the entry: records of molecules --
____________
No. 1
Density functional theory data (the ωB97M-V functional and the def2-TZVPD basis) for a 11-piece molecular cluster, C19H19Cl31F9NO4S overall.

Spin multiplicity: 1
Lowest unoccupied orbital energy, eV: -1.05
SMILES: O=C(Cl)CN(CCOCC(F)(F)C(F)(F)C(F)(F)C(F)F)S(=O)(=O)F.ClC(Cl)Cl.ClC(Cl)Cl.ClC(Cl)Cl.ClC(Cl)Cl.ClC(Cl)Cl.ClC(Cl)Cl.ClC(Cl)Cl.ClC(Cl)Cl.ClC(Cl)Cl.ClC(Cl)Cl

Structure (XYZ):
```
84
C19H19Cl31F9NO4S (the ωB97M-V functional and the def2-TZVPD basis)
F -6.096 3.391 0.437
Cl 2.775 0.092 8.231
Cl 0.757 3.334 2.396
N 0.049 1.670 -0.848
Cl 2.094 -6.051 -2.206
H -2.075 1.945 -1.427
Cl 4.173 0.594 -2.120
H -0.960 0.640 0.808
H -0.890 3.353 -1.771
Cl 1.569 0.743 5.667
O -2.644 4.320 0.082
Cl -0.787 3.565 4.850
C 0.605 -1.342 -5.978
H 6.358 0.814 -2.956
C -3.867 3.819 -0.481
C 1.793 1.263 7.343
O -0.618 1.426 -3.471
Cl 5.008 1.082 -4.862
H -0.101 -5.607 -1.494
Cl -0.340 5.909 3.188
C 8.223 3.033 -5.618
F -4.397 -1.368 -1.443
Cl -3.907 -3.075 -5.965
Cl 7.412 2.535 -7.108
C 1.098 -0.196 0.666
Cl 2.159 -3.990 1.659
H 2.317 2.217 7.339
H -2.006 2.569 1.149
F -5.539 0.718 1.182
Cl 0.653 -3.529 -2.290
C -4.738 1.340 0.167
H -0.736 3.813 0.737
C -0.209 0.428 -0.040
H -1.127 -2.565 4.334
Cl 3.176 -1.991 12.400
F -4.934 -0.316 -3.386
C -5.401 0.925 -1.235
Cl 1.081 -1.369 10.481
Cl -3.418 -2.360 4.815
Cl 0.228 1.492 8.138
O 2.047 -0.732 0.078
F 0.920 -0.408 -2.599
Cl -1.815 -0.765 2.986
C -1.173 2.526 -1.020
C -2.647 -3.931 -6.864
H 1.255 4.599 4.314
C -4.437 -0.080 -2.070
Cl 8.368 4.795 -5.547
C -1.803 -1.724 4.474
H 1.126 -0.387 -6.008
F -4.336 3.156 1.850
F -3.456 0.723 0.279
H 7.618 2.706 -4.774
H 1.233 -3.223 11.918
C -1.667 3.284 0.306
Cl 0.371 -1.903 -7.639
Cl -0.309 -5.802 -3.829
Cl 1.091 -6.658 1.204
H -4.514 4.745 -0.714
O 1.633 2.086 -2.884
S 0.495 1.198 -2.476
F -5.824 2.002 -2.039
H -3.743 3.284 -1.490
H -3.384 0.357 -2.208
Cl 5.605 3.035 -2.790
C 0.343 4.381 3.762
Cl 9.815 2.272 -5.490
Cl 1.224 -0.069 2.495
Cl 2.727 -6.126 3.550
Cl 2.685 -3.773 10.154
C 2.449 -5.725 1.850
C 0.503 -5.290 -2.342
Cl 1.596 -2.487 -5.067
Cl -0.955 -1.101 -5.178
C -4.745 2.901 0.497
H -1.679 -3.548 -6.545
H -0.746 -0.338 -0.719
Cl -2.816 -3.642 -8.602
C 5.412 1.314 -3.155
H 3.342 -5.987 1.286
Cl -2.704 -5.665 -6.512
Cl -1.216 -0.756 5.833
F -6.577 0.150 -0.960
C 1.948 -2.664 11.319
```

Atom-resolved charges from Löwdin, all expressed in e: 0.06 0.51 0.57 -0.18 0.51 0.09 0.57 0.07 0.16 0.46 -0.12 0.53 -1.49 0.02 -0.08 -1.51 -0.35 0.53 0.00 0.55 -1.56 0.04 0.51 0.51 -0.63 0.52 0.02 0.12 0.08 0.50 -0.20 0.05 -0.17 0.02 0.52 0.03 -0.22 0.49 0.54 0.51 -0.02 -0.25 0.52 -0.18 -1.56 0.02 -0.15 0.52 -1.51 0.02 0.06 0.04 -0.05 0.01 -0.21 0.55 0.52 0.52 0.17 -0.33 0.77 0.09 0.14 0.16 0.54 -1.50 0.52 0.55 0.53 0.52 -1.54 -1.53 0.51 0.56 -0.25 -0.05 0.15 0.51 -1.52 0.02 0.51 0.50 0.07 -1.54

No. 2
Density functional theory data (the ωB97M-V functional and the def2-TZVPD basis) for a 12-piece molecular cluster, C33H97N17O12 overall.
____________
"Theodore Hastings. But call me Theo." He returns my handshake, and I can feel him trembling. Somehow that makes me give him a small, assuring smile.
"Well, Theo, let's get you started, shall we?"
"Are you fucking kidding me?" I punch Theo's shoulder as he opens the door to the room.
"What the fuck, man?" He jumps back and scowls at me.
"Do you really have a death wish?" His hand goes to massage the spot I hit, and I see him cringe in pain as he heads towards the bed. "Don't even tell me you tried your last fight. You were just taking hit after hit…"
He collapses on the bed, clearly tired from his fight.
I shake my head and am about to head out when I hear muffled sobs. I half-turn and see Theo with his head in the pillow.
"Shit, dude, are you okay?" I immediately ask.
"It's all my fault…" His hands clench into fists, and he smacks the mattress.
I don't even know what to say to comfort him.
-- Data records, as found in the file --
********
No. 1
Computed, not measured: C3H7N3O2 in the gas phase in a non-equilibrium geometry, with ωB97M-V/def2-TZVPD.

Geometry (Å):
C (0.830, -0.715, -1.091)
C (-0.350, -0.279, -0.326)
C (-0.654, 1.144, -0.634)
N (0.054, -0.394, 1.081)
N (1.340, -0.055, 1.383)
O (1.618, -0.110, 2.555)
N (-1.070, -0.384, 1.979)
O (-2.149, -0.338, 1.470)
H (1.636, -0.014, -0.753)
H (1.337, -1.666, -0.734)
H (0.651, -0.860, -2.132)
H (-1.220, -0.988, -0.530)
H (-0.915, 1.295, -1.761)
H (0.258, 1.720, -0.561)
H (-1.366, 1.645, 0.054)

The structure (SMILES) is CC(C)N(N=O)N=O. The frontier orbital gap comes out at 8.8 eV. As for the total charge: 0. Its HOMO energy is -9.7 eV.


No. 2
Computed, not measured: C3H7N3O2 in the gas phase in a non-equilibrium geometry, with ωB97M-V/def2-TZVPD.

Geometry (Å):
N (-2.272, -0.385, -1.736)
C (-1.123, -0.513, -0.919)
C (-0.139, 0.598, -0.863)
O (-0.116, 1.652, -1.454)
N (0.924, 0.355, 0.036)
C (0.878, -0.410, 1.274)
N (2.092, -0.771, 1.802)
O (-0.113, -0.297, 1.958)
H (-2.851, 0.361, -1.325)
H (-2.099, -0.271, -2.714)
H (-1.446, -0.833, 0.078)
H (-0.485, -1.404, -1.194)
H (1.451, 1.233, 0.153)
H (2.780, -1.249, 1.131)
H (2.080, -1.379, 2.626)

The structure (SMILES) is NCC(=O)NC(N)=O. The frontier orbital gap comes out at 10.0 eV. As for the total charge: 0. Its HOMO energy is -9.5 eV.


No. 3
Computed, not measured: a molecular structure, C3H7N3O2, with ωB97M-V/def2-TZVPD.

Geometry (Å):
C (0.091, 0.385, 1.200)
N (0.217, -1.055, 0.936)
N (0.330, 0.840, -0.170)
C (-0.993, 0.801, -1.125)
N (-1.649, -0.286, -0.864)
C (1.394, -0.591, -0.445)
O (-1.079, 1.777, -1.847)
O (2.555, -0.478, -0.211)
H (0.512, -1.640, 1.710)
H (0.777, 1.746, -0.276)
H (-0.653, -1.326, 0.431)
H (-2.406, -0.435, -1.522)
H (0.891, 0.713, 1.863)
H (-0.889, 0.676, 1.581)
H (0.901, -1.126, -1.260)

The frontier orbital gap comes out at 9.6 eV. As for the total charge: 0. Its HOMO energy is -9.0 eV.


No. 4
Computed, not measured: a molecular structure, C3H7N3O3 in a non-equilibrium geometry, with ωB97M-V/def2-TZVPD.

Geometry (Å):
C (-0.378, 0.921, -2.276)
C (-1.175, -0.764, 0.420)
C (0.528, 0.121, 1.903)
H (-0.709, 0.837, -3.894)
H (0.875, 1.392, -1.868)
H (-1.674, 1.220, -1.531)
H (0.704, -0.797, -1.612)
H (-1.890, -1.873, -1.264)
H (-0.303, 0.531, 2.732)
H (3.158, 0.590, 2.962)
N (-0.366, -0.553, -1.787)
N (-1.290, -1.069, -0.949)
N (1.905, 0.076, 1.991)
O (-1.748, -1.052, 1.418)
O (0.095, -0.069, 0.554)
O (2.269, 0.491, 3.201)

The frontier orbital gap comes out at 9.3 eV. As for the total charge: 0. Its HOMO energy is -9.1 eV.


Question: What is the formula in the first record?
Answer: C3H7N3O2
********
-- Back to the entry --
When Theo arrived two years ago as a scrawny kid ready to take on seasoned fighters, it had been solely to rebel against his parents. His wealthy, well-connected parents. Apparently, for a posh kid, it's not enough to get a few piercings and ink on your body.
No, the best way to rebel is to throw yourself headfirst into pit fighting, where the chances of getting out alive are against you. Honestly, the only reason Theo's still standing today is because I haven't given up on him. I've trained and trained him until he could hold his own. Well… in the first year, it was mostly me nursing him to health and teaching him how to not get killed.
'''
[1]
Formula: C19H44BN
Source: the Open Molecules 2025 dataset
Level of theory: ωB97M-V/def2-TZVPD

Calculated values
- Lowest unoccupied orbital energy: -0.662 eV
- Molar mass: 297.4 g/mol
- HOMO level: -6.630 eV
- Energy: -22579.993 eV

The geometry in ORCA input format:
```
! RIJCOSX wB97M-V def2-TZVPD def2/J DEFGRID3
* xyz 0 1
C -0.58772 -0.92410 5.02422
C -0.71585 -1.10143 3.51018
C -0.93973 0.18037 2.70324
C -0.02237 1.38088 2.98529
C -0.47784 2.19722 4.20223
B 1.59608 1.04295 3.00559
C 2.07376 0.00147 1.81234
C 3.56971 0.20964 1.42860
C 4.37252 -1.10684 1.38501
C 5.36688 -1.15897 0.19313
C 5.10718 -1.36306 2.69238
H -1.25180 -0.16629 5.42600
H 0.42720 -0.60833 5.24888
H -0.72304 -1.89091 5.50774
H 0.12673 -1.67890 3.14154
H -1.59407 -1.73801 3.34668
H -1.99824 0.45949 2.79570
H -0.74531 -0.06885 1.65396
H -0.16321 2.06093 2.12960
H -1.55384 2.08392 4.37858
H 0.03438 1.86866 5.10412
H -0.29618 3.25706 4.04500
H 1.90541 0.65733 4.12661
H 2.18181 2.11311 2.81387
H 1.47259 0.07792 0.89665
H 2.02545 -1.01120 2.21178
H 3.66607 0.72189 0.47336
H 4.00172 0.82291 2.21775
H 3.69725 -1.94993 1.23756
H 6.34097 -0.80587 0.52620
H 4.97929 -0.55769 -0.62387
H 5.45071 -2.18881 -0.14667
H 5.83909 -2.16075 2.55824
H 4.42669 -1.68199 3.47910
H 5.61074 -0.45961 3.03135
C -4.34645 -1.83550 -4.24918
C -3.18642 -1.33720 -5.11394
C -1.88260 -0.97837 -4.41328
N -1.87347 0.21345 -3.47829
C -0.40824 0.55195 -3.26060
C -0.17794 1.60766 -2.19818
C -0.83469 1.21808 -0.88393
C -2.30796 0.91444 -1.08971
C -2.50813 -0.14819 -2.15331
C -2.56762 1.36438 -4.11343
H -4.89086 -1.01751 -3.77730
H -5.06723 -2.36542 -4.87002
H -4.00591 -2.52382 -3.47486
H -3.52172 -0.51396 -5.74651
H -2.92071 -2.13950 -5.80560
H -1.14315 -0.74425 -5.17992
H -1.50604 -1.82128 -3.83474
H 0.07559 -0.38271 -2.97427
H -0.01661 0.86950 -4.22666
H 0.89772 1.72024 -2.05690
H -0.54065 2.58358 -2.53280
H -0.71471 2.01575 -0.15210
H -0.33679 0.33778 -0.46732
H -2.85497 1.82601 -1.34890
H -2.74479 0.55321 -0.15755
H -3.56701 -0.30468 -2.33012
H -2.05561 -1.08958 -1.84112
H -3.62768 1.13986 -4.18754
H -2.13788 1.52221 -5.09992
H -2.43052 2.24967 -3.50394
*
```

Let us look at the natural (NBO) charges, expressed in e, one per atom: -0.620 -0.390 -0.383 -0.419 -0.601 -0.129 -0.623 -0.389 -0.211 -0.601 -0.601 0.199 0.231 0.190 0.201 0.169 0.162 0.171 0.160 0.165 0.203 0.196 -0.072 -0.072 0.149 0.181 0.171 0.208 0.178 0.197 0.192 0.193 0.188 0.214 0.201 -0.616 -0.429 -0.202 -0.207 -0.206 -0.433 -0.411 -0.433 -0.214 -0.419 0.201 0.234 0.215 0.212 0.239 0.222 0.225 0.227 0.219 0.260 0.202 0.263 0.233 0.202 0.264 0.225 0.225 0.228 0.226 0.240

---

[2]
Formula: C19H44N3O2P2Y
Source: the Open Molecules 2025 dataset
Level of theory: ωB97M-V/def2-TZVPD

Calculated values
- Energy above the lowest of the compared OMol25 structures with the same formula, charge and spin: 0.0000 eV
- Lowest unoccupied orbital energy: -5.894 eV
- Molar mass: 497.4 g/mol
- HOMO level: -14.579 eV
- Energy: -48590.850 eV
'''
It all changed, though, when his parents were killed in a car accident. Theo blames himself for it because he wasn't there. If you ask me, that's bollocks. I'd gone through the whole blaming myself routine too. In his case, the accident couldn't have been prevented.
In mine, maybe…
Now, it seems that Theo is dead set on getting himself killed in the ring. I don't understand him. He's already been accepted into Harvard but decided to defer his enrollment to fight in this dump. At least I have an ulterior motive for being here. Him? He's wasting away his potential.